50 Little Ways To Be A Happier You Every Single Day
Reach out to a few people you admire. Tell them how your life has changed for the better because of them.
1. Wake up ten minutes earlier than you normally do and drink your coffee (or tea) a little more slowly than usual.
- - -
1.
First-principles (PBE-GGA) data for Cs2MgTi2Cu2O2F10 after structural relaxation, as listed in the Materials Project.

Computed properties:
E_form   -3.02 eV/atom
E_tot   -5.678 eV/atom
Space-group type   Cm (8)
Crystal system   monoclinic

Cell: 7.5280 7.5280 7.6680 Å, 116.57 116.57 59.48°
Closest atoms and distances in Å follow each position.
Atoms (fractional coordinates):
1 Cs 0.0000 0.0000 0.0000  6 F 3.01-3.30
2 Cs 0.1761 0.1761 0.6636  7 F 3.12-3.48
3 Mg 0.4916 0.4916 0.7065  4 F 1.89-2.05, 1 O 2.02
4 Ti 0.0926 0.5787 0.3378  4 F 1.90-2.03, 2 O 1.92-1.95
5 Ti 0.5787 0.0926 0.3378  4 F 1.90-2.03, 2 O 1.92-1.95
6 Cu 0.5748 0.5748 0.2804  5 F 2.13-2.19
7 Cu 0.7522 0.7522 0.0343  1 O 1.84, 1 F 1.87
8 O 0.3449 0.3449 0.4253  2 Ti 1.92, 1 Mg 2.02
9 O 0.8520 0.8520 0.3131  1 Cu 1.84, 2 Ti 1.95
10 F 0.0368 0.4063 0.0631  1 Ti 1.90
11 F 0.1939 0.7279 0.6385  1 Ti 2.03, 1 Mg 2.05
12 F 0.2580 0.6723 0.2880  1 Ti 1.94, 1 Cu 2.13
13 F 0.4063 0.0368 0.0631  1 Ti 1.90
14 F 0.4863 0.4863 0.9480  1 Mg 1.89
15 F 0.4993 0.9141 0.3855  1 Ti 1.94, 1 Cu 2.14
16 F 0.6517 0.6517 0.7509  1 Cu 1.87, 1 Mg 1.94
17 F 0.6723 0.2580 0.2880  1 Ti 1.94, 1 Cu 2.13
18 F 0.7279 0.1939 0.6385  1 Ti 2.03, 1 Mg 2.05
19 F 0.9141 0.4993 0.3855  1 Ti 1.94, 1 Cu 2.14

=====

2.
First-principles (PBE-GGA) data for Cs2NbCuF6 after structural relaxation, as listed in the Materials Project.

Computed properties:
E_form   -2.57 eV/atom
E_tot   -5.045 eV/atom
Space-group type   Fm-3m (225)
Crystal system   cubic

Cell: 6.3326 6.3326 6.3326 Å, 60.00 60.00 60.00°
Closest atoms and distances in Å follow each position.
Atoms (fractional coordinates):
1 Cs 0.2500 0.2500 0.2500  12 F 3.17
2 Cs 0.7500 0.7500 0.7500  12 F 3.17
3 Nb 0.0000 0.0000 0.0000  6 F 2.13
4 Cu 0.5000 0.5000 0.5000  6 F 2.34
5 F 0.2382 0.2382 0.7618  1 Nb 2.13, 1 Cu 2.34
6 F 0.2382 0.7618 0.2382  1 Nb 2.13, 1 Cu 2.34
7 F 0.2382 0.7618 0.7618  1 Nb 2.13, 1 Cu 2.34
8 F 0.7618 0.2382 0.2382  1 Nb 2.13, 1 Cu 2.34
9 F 0.7618 0.2382 0.7618  1 Nb 2.13, 1 Cu 2.34
10 F 0.7618 0.7618 0.2382  1 Nb 2.13, 1 Cu 2.34

=====

3.
First-principles (PBE-GGA) data for Cs2RbCuF6 after structural relaxation, as listed in the Materials Project.

Computed properties:
E_form   -2.56 eV/atom
E_tot   -4.115 eV/atom
Space-group type   Fm-3m (225)
Crystal system   cubic

Cell: 6.5537 6.5537 6.5537 Å, 60.00 60.00 60.00°
Closest atoms and distances in Å follow each position.
Atoms (fractional coordinates):
1 Cs 0.2500 0.2500 0.2500  12 F 3.30
2 Cs 0.7500 0.7500 0.7500  12 F 3.30
3 Rb 0.0000 0.0000 0.0000  6 F 2.69
4 Cu 0.5000 0.5000 0.5000  6 F 1.94
5 F 0.2907 0.2907 0.7093  1 Cu 1.94
6 F 0.2907 0.7093 0.2907  1 Cu 1.94
7 F 0.2907 0.7093 0.7093  1 Cu 1.94
8 F 0.7093 0.2907 0.2907  1 Cu 1.94
9 F 0.7093 0.2907 0.7093  1 Cu 1.94
10 F 0.7093 0.7093 0.2907  1 Cu 1.94

=====

4.
First-principles (PBE-GGA) data for Cs2TiCu3F12 after structural relaxation, as listed in the Materials Project.

Computed properties:
E_form   -2.70 eV/atom
- - -
2. Write one paragraph in a journal about how you honestly feel about your current place in life.
3. Below that, write down three things that you have the power to change in six months.
4. Accomplish one small goal you have for the day that’s dedicated to personal fulfillment.
5. Start reading a book that you’ve been dying to read for the longest time.
6. Reread an old favorite book.
7. Take a brisk walk for at least ten minutes outside.
8. Take a warm bath with your favorite scent.
9. Cook your favorite dish for dinner.
10. Drink one more cup of water than you usually do.
11. Give a compliment to someone that inspires you on Instagram.
12. Make a mini-vision board with nine photos that show what you’d like to be doing and where you’d like to be by the end of the year.
13. Wear something that makes you feel comfortable and polished at the same time.
14. Write down your favorite quote and put it in a frame.
15. Learn about one new thing anything that interests you.
16. Meditate for five minutes before you go to sleep.
17. Clean up and reorganize your desk. Arrange things in a way that makes you focused.
18. Make a playlist with ten songs that resonate with you the most. Play it while you’re commuting, working, or doing chores.
19. Allow yourself to sing in the shower without feeling self-conscious.
20. Put scissors, tape, glue, paper towels, safety glasses, a stapler, rubber bands, and a first aid kit into one box and have it somewhere that’s easy to spot. That way, you won’t waste time trying to look for these things when you need them.
21. Look at old photos and reflect on how much you’ve grown and changed over the years.
22. Sleep for half an hour longer.
23. Say, “I am happy to be me” as many times as you need to.
24. Sit outside and do some deep breathing exercises.
25. Take a flattering photo of yourself and be creative with the way you edit it.
26. Put all of your chargers in one place. This will do tremendous wonders for your sanity – also make a charging schedule, so that you’ll never leave with a device that’s only 5% charged.
27. Watch a video that always makes you laugh hysterically.
28. Write down a list of common excuses you make. After you’re done, immediately shred it to pieces.
29. Read a book that made you happy as a kid.
30. Give yourself five reasons why you’re glad to be alive.
31. If you struggle with self-doubt and constantly worry about how you’re not good enough, ask three acquaintances to list three things they think you’re good at. This will show that most people (who aren’t your friends) don’t judge you as harshly as you think they do.
32. Write down three of your most important core beliefs.
33. Grab a piece of paper and a pen. Play MASH and be as creative with your options as you want. Make your own variations. Have fun with this!
34. Celebrate something you never thought you’d ever accomplish.
35. Sit in a dark room and do absolutely nothing for 15 minutes (or more).
........
A) PBE with a Hubbard U La7Mn8O24, optimized geometry; symmetry = P-1
1.0
7.8504 0.0000 0.0000
-3.8047 8.7217 0.0000
-3.8893 -1.8540 14.0322
La Mn O
14 16 48
direct
0.0003 0.2491 0.2514 La
0.9997 0.7509 0.7486 La
0.1205 0.1237 0.6263 La
0.1271 0.6261 0.1243 La
0.2482 0.5024 0.5010 La
0.2564 0.0071 0.0039 La
0.3772 0.3804 0.8763 La
0.3772 0.8816 0.3717 La
0.6228 0.1184 0.6283 La
0.6228 0.6196 0.1237 La
0.7436 0.9929 0.9961 La
0.7518 0.4976 0.4990 La
0.8729 0.3739 0.8757 La
0.8795 0.8763 0.3737 La
0.0665 0.4406 0.6882 Mn
0.0667 0.9401 0.1874 Mn
0.1901 0.3121 0.0651 Mn
0.1898 0.8122 0.5641 Mn
0.3127 0.6894 0.9352 Mn
0.3155 0.1895 0.4365 Mn
0.4368 0.0594 0.8124 Mn
0.4393 0.5599 0.3120 Mn
0.5607 0.4401 0.6880 Mn
0.5632 0.9406 0.1876 Mn
0.6845 0.8105 0.5635 Mn
0.6873 0.3106 0.0648 Mn
0.8102 0.1878 0.4359 Mn
0.8099 0.6879 0.9349 Mn
0.9333 0.0599 0.8126 Mn
0.9335 0.5594 0.3118 Mn
0.0273 0.6713 0.4425 O
0.0444 0.7631 0.2615 O
0.0577 0.1947 0.4197 O
0.0709 0.6831 0.9597 O
0.0742 0.1061 0.1067 O
0.1018 0.2123 0.9318 O
0.1355 0.6297 0.6295 O
0.1465 0.5389 0.8207 O
0.1842 0.0759 0.7948 O
0.1967 0.0711 0.3088 O
0.1990 0.5630 0.3345 O
0.2116 0.9871 0.4859 O
0.2589 0.4234 0.1919 O
0.2849 0.5152 0.0158 O
0.2957 0.9275 0.1636 O
0.3078 0.4122 0.7062 O
0.3211 0.8686 0.8679 O
0.3335 0.9699 0.6770 O
0.4038 0.2873 0.5732 O
0.4094 0.3982 0.3989 O
0.4285 0.8205 0.5376 O
0.4435 0.3150 0.0710 O
0.4580 0.7342 0.2338 O
0.4706 0.8339 0.0548 O
0.5294 0.1661 0.9452 O
0.5420 0.2658 0.7662 O
0.5565 0.6850 0.9290 O
0.5715 0.1795 0.4624 O
0.5906 0.6018 0.6011 O
0.5962 0.7127 0.4268 O
0.6665 0.0301 0.3230 O
0.6789 0.1314 0.1321 O
0.6922 0.5878 0.2938 O
0.7043 0.0725 0.8364 O
0.7151 0.4848 0.9842 O
0.7411 0.5766 0.8081 O
0.7884 0.0129 0.5141 O
0.8010 0.4370 0.6655 O
0.8033 0.9289 0.6912 O
0.8158 0.9241 0.2052 O
0.8535 0.4611 0.1793 O
0.8645 0.3703 0.3705 O
0.8982 0.7877 0.0682 O
0.9258 0.8939 0.8933 O
0.9291 0.3169 0.0403 O
0.9423 0.8053 0.5803 O
0.9556 0.2369 0.7385 O
0.9727 0.3287 0.5575 O


B) PBE with a Hubbard U La7Mn8O24, optimized geometry; symmetry = I-4m2
1.0
-3.8866 3.8866 7.9066
3.8866 -3.8866 7.9066
3.8866 3.8866 -7.9066
La Mn O
7 8 24
direct
0.0000 0.0000 0.0000 La
0.2495 0.2495 0.0000 La
0.2500 0.7500 0.5000 La
0.5000 0.5000 0.0000 La
0.5020 0.0020 0.5000 La
0.7505 0.7505 0.0000 La
0.9980 0.4980 0.5000 La
0.1200 0.1262 0.5002 Mn
0.1200 0.6198 0.9939 Mn
0.3802 0.3740 0.5002 Mn
0.3802 0.8800 0.0061 Mn
0.6260 0.1262 0.0061 Mn
0.6260 0.6198 0.4998 Mn
0.8738 0.3740 0.9939 Mn
0.8738 0.8800 0.4998 Mn
0.0144 0.5144 0.0288 O
0.0144 0.9856 0.5000 O
0.1035 0.3844 0.7191 O
0.1220 0.4172 0.2951 O
0.1220 0.8269 0.7049 O
0.1731 0.8780 0.2951 O
0.2467 0.2467 0.4934 O
0.2467 0.7533 0.0000 O
0.3219 0.1236 0.1983 O
0.3742 0.1694 0.7951 O
0.3742 0.5791 0.2049 O
0.4209 0.6258 0.7952 O
0.4856 0.5144 0.5000 O
0.4856 0.9856 0.9712 O
0.5828 0.8780 0.7049 O
0.6156 0.3346 0.7191 O
0.6156 0.8965 0.2809 O
0.6654 0.3844 0.2809 O
0.7533 0.2467 0.0000 O
0.7533 0.7533 0.5066 O
0.8306 0.6258 0.2049 O
........
36. Make a favorites list (favorite food, favorite book, favorite singer, favorite film, etc.). Chances are, no one else in the world would have the same exact list as yours.
37. Create a bucket list of all the things you want to do before you turn a certain age. This will challenge you to seek new experiences, dream boldly, and stop holding yourself back.
38. Reach out to a few people you admire. Tell them how your life has changed for the better because of them.
39. Write a letter to yourself from the perspective of your elderly self. Give some thoughtful lessons that will help you see the transience of life and make most of the precious moments you might be taking for granted.
40. Make a collage (can be digital or paper) with pictures of 25 things you love the most.
41. Listen to some relaxing piano music (or if piano isn’t your thing, maybe classical guitar or harp music).
42. Take a personality test of your choice. This is a fun way to discover more about who you are.
43. List some positive adjectives you’d use to describe yourself.
44. If there’s a playground nearby, go on the swings!
45. Lie down and allow every limb and muscle to relax.
46. Gaze at the moon, the stars, and the vast expanse of the night sky that reveals how majestic and breathtaking the universe can be.
47. Work on something you absolutely care about. Give it your undivided attention. Shut everything else down if you must.
48. Remind yourself that your life can be as uncomplicated as you want it to be.
Materials data, kept here for reference =
+++
## KLiHo2Mo4O16 (GGA+U)

Data for KLiHo2Mo4O16 after structural relaxation.

a = 6.8973 Å, b = 6.8973 Å, c = 19.6320 Å
α = 91.20°, β = 91.20°, γ = 135.11°
Last column: nearest neighbours and their distance in Å.
Fractional coordinates of all 48 atoms:
K (0.0311, 0.9689, 0.7500)  4 O 2.68-2.71
K (0.9689, 0.0311, 0.2500)  4 O 2.68-2.71
Li (0.3136, 0.6864, 0.7500)  4 O 2.03-2.09
Li (0.6864, 0.3136, 0.2500)  4 O 2.03-2.09
Ho (0.1470, 0.8522, 0.5326)  8 O 2.29-2.48
Ho (0.1478, 0.8530, 0.9674)  8 O 2.29-2.48
Ho (0.8522, 0.1470, 0.0326)  8 O 2.29-2.48
Ho (0.8530, 0.1478, 0.4674)  8 O 2.29-2.48
Mo (0.2471, 0.7315, 0.3525)  4 O 1.77-1.88
Mo (0.2685, 0.7529, 0.1475)  4 O 1.77-1.88
Mo (0.4184, 0.5431, 0.9087)  4 O 1.77-1.87
Mo (0.4569, 0.5816, 0.5913)  4 O 1.77-1.87
Mo (0.5431, 0.4184, 0.4087)  4 O 1.77-1.87
Mo (0.5816, 0.4569, 0.0913)  4 O 1.77-1.87
Mo (0.7315, 0.2471, 0.8525)  4 O 1.77-1.88
Mo (0.7529, 0.2685, 0.6475)  4 O 1.77-1.88
O (0.0099, 0.7318, 0.1731)  1 Mo 1.77
O (0.0616, 0.5813, 0.4337)  1 Mo 1.88
O (0.0651, 0.4714, 0.2862)  1 Mo 1.77
O (0.0987, 0.4003, 0.1315)  1 Mo 1.82
O (0.1651, 0.5057, 0.9580)  1 Mo 1.87
O (0.2200, 0.3122, 0.3989)  1 Mo 1.79
O (0.2207, 0.2598, 0.5369)  1 Mo 1.85
O (0.2598, 0.2207, 0.0369)  1 Mo 1.85
O (0.2682, 0.9901, 0.3269)  1 Mo 1.77
O (0.3002, 0.4829, 0.6704)  1 Mo 1.77
O (0.3122, 0.2200, 0.8989)  1 Mo 1.79
O (0.4003, 0.0987, 0.6315)  1 Mo 1.82
O (0.4187, 0.9384, 0.0663)  1 Mo 1.88
O (0.4714, 0.0651, 0.7862)  1 Mo 1.77
O (0.4829, 0.3002, 0.1704)  1 Mo 1.77
O (0.4943, 0.8349, 0.5420)  1 Mo 1.87
O (0.5057, 0.1651, 0.4580)  1 Mo 1.87
O (0.5171, 0.6998, 0.8296)  1 Mo 1.77
O (0.5286, 0.9349, 0.2138)  1 Mo 1.77
O (0.5813, 0.0616, 0.9337)  1 Mo 1.88
O (0.5997, 0.9013, 0.3685)  1 Mo 1.82
O (0.6878, 0.7800, 0.1011)  1 Mo 1.79
O (0.6998, 0.5171, 0.3296)  1 Mo 1.77
O (0.7318, 0.0099, 0.6731)  1 Mo 1.77
O (0.7402, 0.7793, 0.9631)  1 Mo 1.85
O (0.7793, 0.7402, 0.4631)  1 Mo 1.85
O (0.7800, 0.6878, 0.6011)  1 Mo 1.79
O (0.8349, 0.4943, 0.0420)  1 Mo 1.87
O (0.9013, 0.5997, 0.8685)  1 Mo 1.82
O (0.9349, 0.5286, 0.7138)  1 Mo 1.77
O (0.9384, 0.4187, 0.5663)  1 Mo 1.88
O (0.9901, 0.2682, 0.8269)  1 Mo 1.77

* calculated total energy: -7.1515 eV/atom
* symmetry: C2/c
* crystal system: monoclinic
* energy relative to the elements: -2.53 eV per atom


# KNbCl6 | the Materials Project database | r²SCAN | optimized geometry
# ΔE_f in meV/atom: -1598.3
# Calculated volume in Å³/f.u.: 246.3
# Final energy in eV per cell: -241.360
# Total magnetization in μB per atom: 0.000
# Calculated density in g/cm3: 2.32
data_KNbCl6
_chemical_formula_sum 'K3 Nb3 Cl18'
_cell_length_a 7.0429
_cell_length_b 7.0429
_cell_length_c 17.2030
_cell_angle_alpha 90.00
_cell_angle_beta 90.00
_cell_angle_gamma 120.00
_symmetry_space_group_name_H-M 'R 3 m'
_symmetry_Int_Tables_number 160
_symmetry_space_group_name_Hall 'R 3 -2"'
loop_
_atom_site_label
_atom_site_fract_x
_atom_site_fract_y
_atom_site_fract_z
_atom_site_occupancy
K1 0.0000 0.0000 0.0000 1
+++
49. Read articles about personal development. Don’t just skim them. Read and take notes on the significant points you can apply to your everyday life.
50. Smile. At yourself. At how far you’ve come. And at the future that awaits you.